I would just have to call my friend Jacque. Really, other than the fact that I can't call her in the middle of the night without feeling a we bit guilty about setting her nerves on end and potentially sending her to the loony bin some day, she is just as good as google.
Whether I am wondering how to get a tempera paint stain out of carpet, where I can buy cheap baskets, or what to do with a head of broccoli, 15 minutes, and only one pot, she has the answer. Immediately.
So, this week I loosely used a recipe that she provided me... which just so happens to use a head of broccoli, 15 minutes, and one pot.
Let's define "loosely." By this, I mean I used the vegetables that I got in my box of produce this week, and not at all the vegetables that are suggested by the recipe. Also, whenever the recipe called for an ingredient I didn't have, I found something somewhat in the same family and used that instead. I consulted a similar recipe from A Girl A Market A Meal for some ideas in making substitutions. In the end, "loosely" means that the recipe came from two sources, and in may ways resembles both, while at the same time having parts that are nothing at all like either.
Here the entry breaks off for materials data
____________
This record from the Materials Project database describes CsAuCl3 after structural relaxation. The functional is PBE.

```
data_CsAuCl3
_chemical_formula_sum 'Cs1 Au1 Cl3'
_cell_length_a 5.207
_cell_length_b 5.207
_cell_length_c 5.207
_cell_angle_alpha 90.00
_cell_angle_beta 90.00
_cell_angle_gamma 90.00
_space_group_name_H-M_alt 'P 1'
_space_group_IT_number 1
_space_group_name_Hall 'P 1'
loop_
_atom_site_label
_atom_site_type_symbol
_atom_site_fract_x
_atom_site_fract_y
_atom_site_fract_z
_atom_site_occupancy
Cl1 Cl 0.000 0.500 0.000 1
Cl2 Cl 0.500 0.000 0.000 1
Cl3 Cl 0.000 0.000 0.500 1
Cs1 Cs 0.500 0.500 0.500 1
Au1 Au 0.000 0.000 0.000 1
```

Results
Crystal system: cubic
Energy of formation from the pure elements (eV/atom): -1.3434
Mass density (Mg/m³): 5.1
Uncorrected energy (eV/atom): -2.918

This record from the Materials Project database describes Cs2GaAuCl6 after structural relaxation. The functional is PBE.

```
data_Cs2GaAuCl6
_chemical_formula_sum 'Cs2 Ga1 Au1 Cl6'
_cell_length_a 7.365
_cell_length_b 7.365
_cell_length_c 7.365
_cell_angle_alpha 60.00
_cell_angle_beta 60.00
_cell_angle_gamma 60.00
_space_group_name_H-M_alt 'P 1'
_space_group_IT_number 1
_space_group_name_Hall 'P 1'
loop_
_atom_site_label
_atom_site_type_symbol
_atom_site_fract_x
_atom_site_fract_y
_atom_site_fract_z
_atom_site_occupancy
Cl1 Cl 0.765 0.765 0.235 1
Cl2 Cl 0.765 0.235 0.765 1
Cl3 Cl 0.235 0.765 0.235 1
Cl4 Cl 0.765 0.235 0.235 1
Cl5 Cl 0.235 0.765 0.765 1
Cl6 Cl 0.235 0.235 0.765 1
Cs1 Cs 0.250 0.250 0.250 1
Cs2 Cs 0.750 0.750 0.750 1
Ga1 Ga 0.000 0.000 0.000 1
Au1 Au 0.500 0.500 0.500 1
```

Results
Crystal system: cubic
Energy of formation from the pure elements (eV/atom): -1.5822
Mass density (Mg/m³): 4.4
Uncorrected energy (eV/atom): -3.132

This record from the Materials Project database describes Cs2GdAuCl6 after structural relaxation. The functional is PBE.

```
data_Cs2GdAuCl6
_chemical_formula_sum 'Cs2 Gd1 Au1 Cl6'
_cell_length_a 7.723
_cell_length_b 7.723
_cell_length_c 7.723
_cell_angle_alpha 60.00
_cell_angle_beta 60.00
_cell_angle_gamma 60.00
_space_group_name_H-M_alt 'P 1'
_space_group_IT_number 1
_space_group_name_Hall 'P 1'
loop_
_atom_site_label
_atom_site_type_symbol
_atom_site_fract_x
_atom_site_fract_y
_atom_site_fract_z
_atom_site_occupancy
Cs1 Cs 0.250 0.250 0.250 1
Cs2 Cs 0.750 0.750 0.750 1
Cl1 Cl 0.245 0.755 0.755 1
Cl2 Cl 0.755 0.245 0.245 1
Cl3 Cl 0.755 0.755 0.245 1
Cl4 Cl 0.755 0.245 0.755 1
Cl5 Cl 0.245 0.245 0.755 1
Cl6 Cl 0.245 0.755 0.245 1
Au1 Au 0.500 0.500 0.500 1
Gd1 Gd 0.000 0.000 0.000 1
```

Results
Crystal system: cubic
Energy of formation from the pure elements (eV/atom): -2.0758
Mass density (Mg/m³): 4.2
Uncorrected energy (eV/atom): -4.731

This record from the Materials Project database describes Cs2KAuCl6 after structural relaxation. The functional is PBE.

```
data_Cs2KAuCl6
_chemical_formula_sum 'Cs2 K1 Au1 Cl6'
_cell_length_a 7.839
_cell_length_b 7.839
_cell_length_c 7.839
_cell_angle_alpha 60.00
____________
This pasta salad works as a great side dish. The flavors in it -- peanut, ginger, garlic -- are somewhat reminiscent of Pad Thai. I served it along with an Asian-flavored cole slaw, and barbecued chicken that I marinated in other Asian-inspired flavors (soy sauce, more garlic, more ginger). The slaw and the pasta should both be done ahead of time, so when your guests arrive, you can stand around the barbecue, enjoying a drink, knowing that as soon as the meat is done, your meal is ready to go.
But before we count our bottles of beer on the wall, let's make the pasta dish.
First, boil a pound of pasta. Any shape is fine, but I prefer a size that is a similar length as the carrot shreds we will run into very soon.
Cut up your vegetables at this point: Cut a head of broccoli into florets, and slice the stem thinly. Also take the strings out of snap pea pods, and shred a couple of carrots.
As soon as the pasta is cooked, drain it quickly, throw it on top of the sauce you whisked up, and stir it to combine it all.
Now you can also stir in the shredded carrots. Since they are shredded, they are thin enough that the heat from the just-boiled pasta will make them perfectly soft, but not mushy.
Put your broccoli into that pot of boiling water, and let it cook just until it is crisp, but no longer crunchy.
Drain the broccoli and stir it into the noodles.
Use the same boiling pot of water to cook the pea pods until they are the same. The pea pods will cook more quickly, so you can't put them in at the same time as the broccoli. Stir the pea pods into the noodles as well.
Now let it all cool. That's it! You're done!
But wait! Don't throw that water down the drain! You will notice that it is pretty green. Let all those vitamins floating around in there have another life, and use the water, once it is cooled, to water your garden. Your plants will thank you.
Here is the recipe:
1 pound pasta
1 large head of broccoli
6 ounces snap peas
2 carrots
1/2 cup peanut butter
1/4 cup vinegar of your choice
1 tsp. sesame oil
2 garlic cloves, minced
1 Tbsp. minced ginger
Boil pasta according to package directions. While pasta is cooking, chop broccoli into florets and thin slices of the stem. Take the strings out of the pea pods. Shred the carrots.
Whisk together the peanut butter, vinegar, oil, garlic, and ginger in a large bowl.
As soon as pasta is done, add to the sauce and stir to coat evenly.
Stir in shredded carrots.
In the boiling water from the pasta, cook the broccoli for about 3 minutes. Drain it and stir it into the pasta.
In the same boiling water, cook the snap peas for about 2 minutes. Drain and stir into the pasta.
Let it cool before serving.
Mark 116p · 730 weeks ago
SusanOfTheBox 62p · 730 weeks ago
melissawest 57p · 730 weeks ago
SusanOfTheBox 62p · 730 weeks ago